Aw, would you look at this? Two friends enjoying a meal together and not a cell phone in sight…
Our dystopian nightmare hellscape has arrived—and with impeccable timing no less. As crises unfold around the world, along comes Apple with a $3500 escape hatch from anxieties over inflation, housing shortages and impending war. I propose we band together and tell Apple where it can put its mixed-reality headset.
_Materials data, kept here for reference_
For KHgF4, a cell relaxed with GGA-PBE gives the calculated XRD peak list in this record (Cu Kα, 1.54184 Å).

Crystal structure
```
data_KHgF4
_chemical_formula_sum 'K4 Hg4 F16'
_cell_length_a 7.5105
_cell_length_b 10.6698
_cell_length_c 5.9115
_cell_angle_alpha 90.00
_cell_angle_beta 129.23
_cell_angle_gamma 90.00
_space_group_name_H-M_alt 'C 1 2/c 1'
_space_group_IT_number 15
_space_group_name_Hall '-C 2yc'
loop_
_atom_site_label
_atom_site_fract_x
_atom_site_fract_y
_atom_site_fract_z
K1 0.0000 0.1250 0.2500
Hg1 0.0000 0.3757 0.7500
F1 0.1949 0.2411 0.7340
F2 0.2105 0.4895 0.2645
```

Peak list (6 most intense, 2θ = 10–80°, low angle first)
hkl  d [Å]  2θ/deg  I/Imax
1 1 0  5.101  17.4  100
0 2 1  3.475  25.6  76
2 2 -1  3.071  29.1  65
1 1 -2  2.734  32.8  26
0 0 2  2.289  39.4  23
2 4 -2  1.964  46.2  53

For ScHgSb2Ir2, a cell relaxed with GGA-PBE gives the calculated XRD peak list in this record (Cu Kα, 1.54184 Å).

Crystal structure
```
data_ScHgSb2Ir2
_chemical_formula_sum 'Sc2 Hg2 Sb4 Ir4'
_cell_length_a 4.4722
_cell_length_b 9.2503
_cell_length_c 6.3230
_cell_angle_alpha 90.00
_cell_angle_beta 90.00
_cell_angle_gamma 90.00
_space_group_name_H-M_alt 'P m n 21'
_space_group_IT_number 31
_space_group_name_Hall 'P 2ac -2'
loop_
_atom_site_label
_atom_site_fract_x
_atom_site_fract_y
_atom_site_fract_z
Sc1 0.0000 0.1211 0.0000
Hg1 0.0000 0.6131 0.9763
Sb1 0.0000 0.1145 0.5027
Sb2 0.0000 0.6402 0.4869
Ir1 0.0000 0.3485 0.7487
Ir2 0.0000 0.8732 0.7519
```

Peak list (6 most intense, 2θ = 10–80°, low angle first)
hkl  d [Å]  2θ/deg  I/Imax
0 2 1  3.733  23.8  32
1 0 1  3.651  24.4  41
0 4 0  2.313  38.9  24
1 2 2  2.254  40.0  100
2 0 0  2.236  40.3  26
0 2 3  1.918  47.4  19

For Tb2Ge2O7, a cell relaxed with GGA-PBE gives the calculated XRD peak list in this record (Cu Kα, 1.54184 Å).

Crystal structure
```
data_Tb2Ge2O7
_chemical_formula_sum 'Tb4 Ge4 O14'
_cell_length_a 6.7094
_cell_length_b 6.7689
_cell_length_c 6.8514
_cell_angle_alpha 64.74
_cell_angle_beta 86.55
_cell_angle_gamma 87.05
_space_group_name_H-M_alt 'P 1'
_space_group_IT_number 1
_space_group_name_Hall 'P 1'
loop_
_atom_site_label
_atom_site_fract_x
_atom_site_fract_y
_atom_site_fract_z
Tb1 0.0000 0.0000 0.0000
Tb2 0.0604 0.5074 0.4944
Tb3 0.3055 0.9759 0.4982
Tb4 0.5829 0.4281 0.8489
Ge1 0.1166 0.4704 0.9807
Ge2 0.4742 0.8735 0.0341
Ge3 0.5619 0.4331 0.3535
Ge4 0.8076 0.9904 0.5040
O1 0.0241 0.6151 0.1274
O2 0.2578 0.6031 0.7305
O3 0.2625 0.2283 0.1110
O4 0.2883 0.9592 0.8498
O5 0.3369 0.3205 0.4810
O6 0.3753 0.7735 0.3023
O7 0.5728 0.6047 0.0697
O8 0.6193 0.8173 0.6556
O9 0.6655 0.0586 0.9591
O10 0.6671 0.2043 0.2996
O11 0.7183 0.4773 0.5204
O12 0.9264 0.3801 0.8667
O13 0.9802 0.8744 0.3705
O14 0.9833 0.0944 0.6163
```

Peak list (6 most intense, 2θ = 10–80°, low angle first)
hkl  d [Å]  2θ/deg  I/Imax
0 0 2  3.095  28.8  68
0 2 0  3.060  29.2  100
2 1 0  2.974  30.0  77
2 -1 0  2.900  30.8  44
-2 1 1  2.812  31.8  60
0 2 -2  1.823  50.0  48
Maybe you’re thinking… new technology can’t be uninvented. You can’t wish it away. This is true, but the fruits of technology can bomb spectacularly. Ask the inventor of the Amphicar.
Getting past Apple’s marketing juggernaut won’t be easy. These masters of manufactured FOMO will stop at nothing, including scarcity and urgency tactics, to entice you. But there’s also something called JOMO, the joy of missing out, a concept introduced to me by my smart friend Tom Siebert. When JOMO takes hold, the act of refusing becomes the “high-status” opinion. Here are eight solid reasons why we need to JOMO the crap out of Apple’s latest abomination…
1. It’s a major turn-off
VR contraptions are how male virgins recognize each other in the wild. As a dude, you might as well wear Crocs and shorteralls. It’s literally the last thing we need during a fertility crisis.
2. Think of the children!
There is zero chance these headsets don’t fry your kids’ brains, wreck their dopamine receptors in two minutes and zombify them 20 times faster than an iPad. Scott Adams put it exactly right: “If this ‘drug’ was in pill form, it would be illegal without extensive clinical trials.” Gen-Z teenage boys are already too scared to talk to girls and spend too much time on smartphones. Do you want them out of your basement or not?
3. Elites: one. Useless eaters: zero.
Like Smart Cities, carbon trackers, digital IDs and relentless universal surveillance, VR is Davos Man’s wet dream. Klaus Schwab’s vision of the future is not far off from a Ready Player One scenario, a world reeling from poverty and collapse in which people find comfort and sanctuary in a VR utopia called “OASIS.” Klaus believes you’ll be happy with your UBI, eating lab-grown meat in your skyscraper rabbit hutch, so long as there’s a TV screen strapped to your face.
4. Your squalid hellacious future
Technocrats sell the illusion that a high-tech utopia is safe and sterile, but evidence shows the virtual world isn’t quite so sunny. The Daily Mail ventured into Zuckerberg’s metaverse and found it to be “swirling with gang rapes, child grooming and graphic content.” IRL, the VR experience exhausts your limbic system, destroying your productivity and eventually society. Nothing left for you but safe injection sites and a low-paid job on a high-protein cricket farm.
5. It will normalize bullying
The Vision Pro headset is basically a 35-hundred-dollar ‘kick-me’ sign. Wearing one signals strong “nerd who got stuffed in trash cans every day in high school” vibes. The guy in a headset behind the wheel of a Tesla Cybertruck might look cool (to some) but this dude leaving a port-a-potty with a trail of toilet paper stuck to his shoe is asking for a wedgie.
6. Big Tech is your narcissistic frenemy
She might be charismatic, attentive and lots of fun but deep down, she’s pathologically selfish and doesn’t care about you at all. Big Tech pushes technology on you it wouldn’t let its own children use. It scolds you about your carbon footprint while its executives circle the globe in private jets and extol the value of virtual travel on the poors. Bay Area tech billionaires live in hillside gated mansions—where crime don’t climb—while San Francisco descends further into a post-apocalyptic wasteland. As Oprah would say, when someone tells you who they are, believe them.
7. Safety
Obstructing your vision while distracting yourself with screens is the surest path to a Darwin Award. This woman running face-first into her microwave wearing VR goggles says it all. With crime spiking in US cities, VR headsets are an invitation to muggers. Right now, as we speak, there’s a dude out there blissfully unaware he’s about to make history as the first person to get smoked by a bus on account of his Vision Pro.
8. Apple is now cringe AF
In the annals of our tech overlords indulging in toe-curling antics, I thought nothing could beat Bill Gates dancing on stage at the Windows 95 release. Alas, no, Apple outdid Gates’ goofy White Man’s Shuffle with this pageant of leaden acting, corny dialogue, humblebrags, audacious greenwashing and all-out baloney. The spot features Octavia Spenser playing Mother Nature as omniscient, omnipotent ESG Commissar who gets treated to a smorgasbord of eco-virtue signals by Apple’s executive team. CEO Tim Cook debuted the video on X with a cringey dad pun…
A real force of nature! Get it? Nyuk nyuk nyuk. Steve Jobs might have been a jerk but within his own fiefdom, he curbed Big Tech’s predilection for dorkiness. Right now he’s face-palming in heaven.
Do you see now, friends, why we cannot give Apple this win? We’ve enabled Silicon Valley’s fantasy world long enough. It’s time it got a wake-up call and maybe even an aggressive culling, which Elon Musk proved possible by firing 70 percent of Twitter 1.0 staff yet still maintaining a functioning product. It might just induce a return to the Valley’s glory days of the 70s and 80s—an embodiment of the capitalist spirit at its best, epitomized by garage start-ups and unironic dreams of making the world a better place.
The worst part about these douchegoggles is we’ll all be forced to buy them in about 5 years.
#9. The abominable price tag. Only the already entitled can afford them. Oh wait. Maybe that's a good thing: walking into buses, microwaves, off a cliff ...